School super signs off

Nancy Wells reflects on her three-and-a-half years as superintendent of the Coast Mountains School District

When outgoing superintendent Nancy Wells signed her first contract with the Coast Mountains School District, she intended to stay six months.

She ended up staying three-and-a-half years – in part, because she didn’t want to leave the district with work unfinished.

But Wells, who handed off the reins to new superintendent Katherine McIntosh May 1, is now confident the district is “on the cusp of some hugely exciting times” and believes that as long as the district remains focussed and on track, learning outcomes will improve going forward.

(The article is interrupted by calculated crystals)
********
This record from the Alexandria database describes crystalline Nb4Re2Tc at its relaxed geometry. The functional is PBE.

Unit cell a=5.484 b=5.484 c=5.484 alpha=109.55 beta=109.43 gamma=109.43
Fractional coordinates of all 7 atoms:
Nb  0.500  0.000  0.000
Nb  0.500  0.500  0.500
Nb  0.000  0.000  0.500
Nb  0.000  0.500  0.000
Re  0.500  0.500  0.000
Re  0.500  0.000  0.500
Tc  0.000  0.000  0.000

ΔH_f (0 K): 0.3 kcal/mol of atoms
V: 18.136 A^3/atom
magnetization: 0.00 Bohr magnetons per cell
crystal system: tetragonal
********

“In education, things don’t happen quickly. It’s taken us three-and-a-half years to get us to a place where we feel we’re a moving, improving school district, and it will take more years to see the results improve,” said the veteran administrator, who first worked in the district in the early ‘80s and then worked throughout the province before she was approached to take on a six-month contract as superintendent following the sudden departure of superintendent Rob Greenwood in 2010.

“The district had been through some rough times,” she said, of that time. “Morale was low, teamwork wasn’t really happening. There wasn’t a focus on what I believe the focus should be, which is student learning, so I just tried to bring everybody in line around a focus of student achievement.”

A lack of confidence on numerous levels, teacher job action in 2012, and, most recently, uncertain student enrolment numbers due to the housing crunch are just some of the challenges the district has seen. But Wells said the key to moving through challenges is to stay focussed on the students – and the end goal of making sure they all graduate and move on to some form of post-secondary education.

“Stick to it and focus on getting those kids across the stage,” she said. “No kids on the sidelines.”

There are “numerous indicators the district is on the move,” Wells said. A high interest in professional learning amongst district workers, administrators, and teachers, a positive sense of school community in district schools, and a solid focus on early learning and aboriginal education are just some ways the district has begun to set the groundwork for future success.

-- Inserted here: materials data --
____________
Here is a relaxed LiHoSe2 crystal from Alexandria. Energies are from PBEsol.

Calculated values
theoretical density = 6.2 Mg/m³
raw formation energy = -1.706 eV/atom

Lattice parameters (Å, degrees): 3.9922 3.9922 19.1205 90.00 90.00 120.00
Sites, in units of the cell vectors:
Li 0.0000 0.0000 0.0000
Li 0.3333 0.6667 0.6667
Li 0.6667 0.3333 0.3333
Ho 0.0000 0.0000 0.5000
Ho 0.3333 0.6667 0.1667
Ho 0.6667 0.3333 0.8333
Se 0.0000 0.0000 0.2515
Se 0.0000 0.0000 0.7485
Se 0.3333 0.6667 0.4152
Se 0.3333 0.6667 0.9181
Se 0.6667 0.3333 0.0819
Se 0.6667 0.3333 0.5848

=====

DFT (PBE) results for Ca2MgI6 after structural relaxation.

Values from the calculation:
* space group: P-31m, No. 162
* relative energy among the computed polymorphs: 0.00 eV per formula unit
* formation energy from raw total energies: -1.4237 eV/atom
* total magnetization: 0.000 μB per formula unit

Cell lengths 7.7726, 7.6735, 7.6735 Å; angles 120.00, 90.00, 90.00 degrees
Fractional coordinates of all 9 atoms:
I 0.7234 0.0000 0.3151
I 0.2766 0.0000 0.6849
I 0.7234 0.6849 0.6849
I 0.7234 0.3151 0.0000
I 0.2766 0.6849 0.0000
I 0.2766 0.3151 0.3151
Ca 0.5000 0.6667 0.3333
Ca 0.5000 0.3333 0.6667
Mg 0.5000 0.0000 0.0000
____________
-- Here the text continues --

“Across the district, but particularly with the aboriginal community, focussing on relationships has really paid off,” she said, pointing to the aboriginal learning success committee which see participation from area bands at regional and district-wide meetings.

And work that has taken place in the Hazeltons over the past year – district officials engaged with community members to identify what that community would like to see in its schools – has led to “a very solid idea of how to move forward.”

Wells is leaving behind a district which is much more engaged with industry than it was three-and-a-half years ago. While she didn’t see the economic boom coming, she did sense that trades training was going to become an issue for the district. “It’s a natural resource industry area,” she said. “With the support for trades here now and the wonderful way the education community and industry are coming together, the opportunities for young people here are unbelievable.”

But she stresses the focus on trades doesn’t come at the expense of academics. “We’re saying post-secondary. Post-secondary for everybody. Walk the stage with dignity, walk the stage with choices, and take some kind of training after you leave secondary school.”

And while the opportunities for district students are improving, in part because of partnerships and the various systems and programs which have been implemented over the last few years, there could be improvements in how the provincial government views rural school districts.

“I’d like to see the government change their funding formula for rural communities,” she said. “Rural school districts could be more fairly managed. And I’d like to see the government truly support public education … Because we do struggle financially and we rely a lot on staff who will carry on despite all of the difficulties. You would think as a society we could figure out that spending money and resources on education is the best way to spend your money.”

# Data records, kept here for reference
A relaxed structure of Pr2RuI. Source: Alexandria, functional PBE.

## Properties
**ρ**: 6.79 Mg/m³
**Distance to the lowest polymorph of the same formula**: 9 meV per atom
**D(E_F)**: 2.85 states/eV per cell
**Magnetic moment**: 0.0 Bohr magnetons per cell
**Formation energy (no corrections)**: -0.59 eV per atom

abc: 4.172 4.172 8.612
angles: 75.98 75.98 60.00
Fractional coordinates of all 4 atoms:
Pr 0.062 0.062 0.813
Pr 0.271 0.271 0.186
Ru 0.667 0.667 0.999
I 0.499 0.499 0.502

---

A relaxed structure of ScTc2Ir2. Source: Alexandria, functional PBE.

## Properties
**ρ**: 12.89 Mg/m³
**Distance to the lowest polymorph of the same formula**: 0 meV per atom
**D(E_F)**: 7.62 states/eV per cell
**Magnetic moment**: 0.5 Bohr magnetons per cell

abc: 7.621 7.621 2.773
angles: 90.00 90.00 90.00
Last column: magnetic moment on the atom in μB.
Fractional coordinates of all 10 atoms:
Sc 0.000 0.000 0.000  0.19
Sc 0.500 0.500 0.000  0.19
Ir 0.174 0.674 0.500  0.00
Ir 0.674 0.826 0.500  0.00
Ir 0.826 0.326 0.500  0.00
Ir 0.326 0.174 0.500  0.00
Tc 0.380 0.880 0.000  0.02
Tc 0.880 0.620 0.000  0.02
Tc 0.620 0.120 0.000  0.02
Tc 0.120 0.380 0.000  0.02

---

A relaxed structure of Ta2SbP. Source: Alexandria, functional PBE.

## Properties
**ρ**: 10.90 Mg/m³
**D(E_F)**: 1.96 states/eV per cell
**Magnetic moment**: 0.0 Bohr magnetons per cell
**Formation energy (no corrections)**: -0.01 eV per atom

abc: 8.672 8.672 8.672
angles: 21.74 21.74 21.74
Fractional coordinates of all 4 atoms:
Ta 0.005 0.005 0.005
Ta 0.757 0.757 0.757
Sb 0.250 0.250 0.250
P 0.488 0.488 0.488

---

A relaxed structure of Sm2YPu3Te6. Source: Alexandria, functional PBE.

## Properties
**ρ**: 8.53 Mg/m³
**D(E_F)**: 32.88 states/eV per cell
**Magnetic moment**: 17.9 Bohr magnetons per cell
**Formation energy (no corrections)**: -1.25 eV per atom

abc: 4.406 8.880 9.919
angles: 103.60 102.83 90.00
Last column: magnetic moment on the atom in μB.
Fractional coordinates of all 12 atoms:
Sm 0.833 0.665 0.666  -0.03
Sm 0.167 0.335 0.334  -0.03
Y 0.500 0.000 0.000  -0.05
Pu 0.500 0.500 0.000  -5.58
Pu 0.832 0.166 0.664  -5.57
Pu 0.168 0.834 0.336  -5.57
Te 0.335 0.919 0.670  0.04
Te 0.666 0.585 0.332  0.04
Te 0.665 0.081 0.330  0.04
Te 0.999 0.246 0.998  0.04
Te 0.001 0.754 0.002  0.04
Te 0.334 0.415 0.668  0.04

---

A relaxed structure of BiRuO2F. Source: Alexandria, functional PBE.

## Properties
**ρ**: 8.78 Mg/m³
**D(E_F)**: 4.35 states/eV per cell
**Magnetic moment**: 1.3 Bohr magnetons per cell
**Formation energy (no corrections)**: -0.66 eV per atom

abc: 4.024 4.024 4.218
angles: 90.00 90.00 90.00
Last column: magnetic moment on the atom in μB.
Fractional coordinates of all 5 atoms:
Ru 0.000 0.000 0.000  1.04
Bi 0.500 0.500 0.500  -0.02
O 0.000 0.500 0.000  0.10
O 0.500 0.000 0.000  0.10
F 0.000 0.000 0.500  0.00

---

A relaxed structure of Nd3Ga2Ag. Source: Alexandria, functional PBE.

## Properties
**ρ**: 7.27 Mg/m³

Terrace Standard